In Christ: Coming Glory

Romans 8:17-30

In Christ: Coming Glory

As members of the body of Christ, we can expect to share in the sufferings of Jesus. We also know that one day, we will share in his glory. This creates tension between our present sufferings and future splendor. Only by the Holy Spirit in us can we endure the tension, cling to hope, and be moved towards glory.

Study Questions

As members of the body of Christ, we can expect to share in the sufferings of Jesus. We also know that one day, we will share in his glory. This creates tension between our present sufferings and future splendor. Only by the Holy Spirit in us can we endure the tension, cling to hope, and be moved towards glory.

+++
A plane-wave DFT calculation with PBE was carried out for a geometry-optimized BaCaC2O6 structure.

Cell lengths 8.7816, 8.7816, 6.2532 Å; angles 90.00, 90.00, 120.00 degrees
Closest atoms and distances in Å follow each position.
Element x y z (fractional)
Ba1 0.0000 0.6869 0.0000  10 O 2.82-2.91
Ba2 0.3131 0.3131 0.0000  10 O 2.82-2.91
Ba3 0.6869 0.0000 0.0000  10 O 2.82-2.91
Ca1 0.0000 0.3601 0.5000  8 O 2.40-2.63
Ca2 0.3601 0.0000 0.5000  8 O 2.40-2.63
Ca3 0.6399 0.6399 0.5000  8 O 2.40-2.63
C1 0.0000 0.0000 0.2657  3 O 1.30
C2 0.0000 0.0000 0.7343  3 O 1.30
C3 0.3333 0.6667 0.3535  3 O 1.30
C4 0.3333 0.6667 0.8128  3 O 1.30
C5 0.6667 0.3333 0.1872  3 O 1.30
C6 0.6667 0.3333 0.6465  3 O 1.30
O1 0.0044 0.1501 0.7409  1 C 1.30
O2 0.1457 0.9956 0.7409  1 C 1.30
O3 0.1501 0.0044 0.2591  1 C 1.30
O4 0.1791 0.5253 0.8159  1 C 1.30
O5 0.1894 0.6748 0.3573  1 C 1.30
O6 0.3252 0.5146 0.3573  1 C 1.30
O7 0.3462 0.8209 0.8159  1 C 1.30
O8 0.4747 0.6538 0.8159  1 C 1.30
O9 0.4854 0.8106 0.3573  1 C 1.30
O10 0.5146 0.3252 0.6427  1 C 1.30
O11 0.5253 0.1791 0.1841  1 C 1.30
O12 0.6538 0.4747 0.1841  1 C 1.30
O13 0.6748 0.1894 0.6427  1 C 1.30
O14 0.8106 0.4854 0.6427  1 C 1.30
O15 0.8209 0.3462 0.1841  1 C 1.30
O16 0.8499 0.8543 0.7409  1 C 1.30
O17 0.8543 0.8499 0.2591  1 C 1.30
O18 0.9956 0.1457 0.2591  1 C 1.30

Symmetry: P321
E_tot, Ry per atom: -0.549
Size of the total moment, Bohr magnetons per cell: 0.0
Raw formation energy, eV per atom: -2.254
Mass density, kg/m³: 3548

=====

# BaTb2Se4

A geometry-optimized BaTb2Se4 structure (GGA-PBE, OQMD via LeMat-Bulk).

a = 4.2203 Å, b = 13.7549 Å, c = 14.2990 Å
α = 90.00°, β = 90.00°, γ = 90.00°
Closest atoms and distances in Å follow each position.
Space group Cmcm (No. 63)
Unique sites:
Ba 0.0000 0.1100 0.2500  6 Se 3.20-3.35
Tb 0.0000 0.3654 0.0667  6 Se 2.79-2.97
Se 0.0000 0.0000 0.0000  4 Tb 2.97
Se 0.0000 0.2674 0.6120  3 Tb 2.86-2.89
Se 0.0000 0.4355 0.2500  2 Tb 2.79

spin magnetization: 0.00 μB per atom
uncorrected energy: -155.34 eV for the cell shown
+++


  1. Our earthly realities are not eternal realities. Whatever our life looks like on earth, whether it’s filled with extreme joy or deep suffering, will not compare to the overwhelming joy of Christ’s glory that’s promised to us. Do you live with this truth in mind? Why or why not?

  2. Many of us combat hopelessness with misdirected hope (in the government, education, wealth, romance, status, etc.), none of which actually bring lasting hope. Where do you tend to misplace hope?

  3. Read Romans 8:28-29. How are these verses encouraging to you?

  4. Some believers have lived relatively free of great suffering and may place hope in earthly joys. Others have suffered immensely in this life and may be tempted to despair. With which do you most identify? What truth of Scripture do you need to believe to ensure you are placing hope in the glory to come?

Key Points

  • While our earthly suffering is great, God’s glory is far greater. As heirs of this glory, we can live our lives with a sure and steady hope that gives us the endurance to persevere through trials.

  • Whatever our current experience, earthly joys or suffering, it is only a season not an eternal reality.

  • Many fight hopelessness with misdirected hope in things of this world instead of the confident hope of the cross, which is the defining hope of the Christian life.

  • The Holy Spirit does not condemn us but strengthens us in the midst of our weakness, specifically by interceding for us when our prayers fall short.

  • Paul compares yearning for God’s glory to the pains of childbirth—temporary pain for an incomparably joyous outcome.

  • We often interpret Romans 8:28 as God orchestrating the events in our lives in our favor. But the good Paul refers to is that which will ultimately bring God glory as he conforms us to his image and may not actually be attained in this life. Instead, the comfort of this passage is the promise nothing will touch our lives that is not under God’s control.

  • Because we have been chosen by God before time, we can have full assurance in his plan to glorify us. We don’t have to wonder if we are good enough.
